Next, find the line further down that holds "(0.6625, 0.6429,", then print that line and all lines after it there.
Record 1
NaGaO2: relaxed, meta-GGA r2SCAN.

Results
ΔH_f (0 K) (meV/atom): -2069
Calculated volume (Å³ per cell): 209.8
DFT total energy (eV per atom): -8.807

Cell: 5.2850 5.5211 7.1893 Å, 90.00 90.00 90.00°
Last column: nearest neighbours and their distance in Å.
Element x y z (fractional)
Na (0.5151, 0.4321, 0.1224)  4 O 2.27-2.32
Na (0.0151, 0.5679, 0.8776)  4 O 2.27-2.32
Na (0.5151, 0.9321, 0.3776)  4 O 2.27-2.32
Na (0.0151, 0.0679, 0.6224)  4 O 2.27-2.32
Ga (0.9999, 0.5644, 0.3739)  4 O 1.84-1.86
Ga (0.4999, 0.9356, 0.8739)  4 O 1.84-1.86
Ga (0.4999, 0.4356, 0.6261)  4 O 1.84-1.86
Ga (0.9999, 0.0644, 0.1261)  4 O 1.84-1.86
O (0.6531, 0.0399, 0.0900)  2 Ga 1.84-1.86
O (0.1531, 0.4601, 0.5900)  2 Ga 1.84-1.86
O (0.0814, 0.8886, 0.3375)  2 Ga 1.85-1.86
O (0.1531, 0.9601, 0.9100)  2 Ga 1.84-1.86
O (0.6531, 0.5399, 0.4100)  2 Ga 1.84-1.86
O (0.0814, 0.3886, 0.1625)  2 Ga 1.85-1.86
O (0.5814, 0.1114, 0.6625)  2 Ga 1.85-1.86
O (0.5814, 0.6114, 0.8375)  2 Ga 1.85-1.86


Record 2
Na3Ga3Si3O16: relaxed, meta-GGA r2SCAN.

Results
ΔH_f (0 K) (meV/atom): -1928
Calculated volume (Å³ per cell): 736.1
DFT total energy (eV per atom): -8.604

Cell: 9.0296 9.0296 9.0296 Å, 90.52 90.52 90.52°
Last column: nearest neighbours and their distance in Å.
Element x y z (fractional)
O (0.9412, 0.6625, 0.6429)  1 Si 1.61
O (0.5556, 0.5500, 0.3729)  1 O 1.33
O (0.9284, 0.3481, 0.3725)  1 Si 1.63
O (0.0500, 0.0556, 0.8729)  1 O 1.33
O (0.0736, 0.6478, 0.3724)  1 Si 1.63
O (0.3729, 0.5556, 0.5500)  1 O 1.33
O (0.4978, 0.4978, 0.4978)  3 O 1.33
O (0.3481, 0.3725, 0.9284)  1 Si 1.63
O (0.6478, 0.3724, 0.0736)  1 Si 1.63
O (0.4412, 0.1429, 0.1625)  1 Si 1.61
O (0.3553, 0.6410, 0.0654)  1 Si 1.63
O (0.5500, 0.3729, 0.5556)  1 O 1.33
O (0.4284, 0.8725, 0.8481)  1 Si 1.63
O (0.1410, 0.8553, 0.5654)  1 Si 1.63
O (0.3724, 0.0736, 0.6478)  1 Si 1.63
O (0.5654, 0.1410, 0.8553)  1 Si 1.63
O (0.0556, 0.8729, 0.0500)  1 O 1.33
O (0.3725, 0.9284, 0.3481)  1 Si 1.63
O (0.1478, 0.5736, 0.8724)  1 Si 1.63
O (0.1429, 0.1625, 0.4412)  1 Si 1.61
O (0.6429, 0.9412, 0.6625)  1 Si 1.61
O (0.8481, 0.4284, 0.8725)  1 Si 1.63
O (0.6625, 0.6429, 0.9412)  1 Si 1.61
O (0.9978, 0.9978, 0.9978)  3 O 1.33
O (0.8729, 0.0500, 0.0556)  1 O 1.33
O (0.6410, 0.0654, 0.3553)  1 Si 1.63
O (0.8724, 0.1478, 0.5736)  1 Si 1.63
O (0.5736, 0.8724, 0.1478)  1 Si 1.63
O (0.0654, 0.3553, 0.6410)  1 Si 1.63
O (0.1625, 0.4412, 0.1429)  1 Si 1.61
O (0.8725, 0.8481, 0.4284)  1 Si 1.63
O (0.8553, 0.5654, 0.1410)  1 Si 1.63
Na (0.1842, 0.8171, 0.8115)  5 O 2.28-2.54
Na (0.8115, 0.1842, 0.8171)  5 O 2.28-2.54
Na (0.3115, 0.3171, 0.6842)  5 O 2.28-2.54
Na (0.8171, 0.8115, 0.1842)  5 O 2.28-2.54
Na (0.6842, 0.3115, 0.3171)  5 O 2.28-2.54
Na (0.3171, 0.6842, 0.3115)  5 O 2.28-2.54
Ga (0.4929, 0.2556, 0.0062)  4 O 1.81-1.84
Ga (0.0062, 0.4929, 0.2556)  4 O 1.81-1.84
Ga (0.2556, 0.0062, 0.4929)  4 O 1.81-1.84
Ga (0.9929, 0.5062, 0.7556)  4 O 1.81-1.84
Ga (0.5062, 0.7556, 0.9929)  4 O 1.81-1.84
Ga (0.7556, 0.9929, 0.5062)  4 O 1.81-1.84
Si (0.0050, 0.7515, 0.5027)  4 O 1.61-1.63
Si (0.7515, 0.5027, 0.0050)  4 O 1.61-1.63
Si (0.5027, 0.0050, 0.7515)  4 O 1.61-1.63
Si (0.0028, 0.2515, 0.5050)  4 O 1.61-1.63
Si (0.2515, 0.5050, 0.0028)  4 O 1.61-1.63
Si (0.5050, 0.0028, 0.2515)  4 O 1.61-1.63


Record 3
Na3GaS3: relaxed, meta-GGA r2SCAN.

Results
ΔH_f (0 K) (meV/atom): -1222
Calculated volume (Å³ per cell): 623.0
DFT total energy (eV per atom): -7.828

Cell: 6.8943 7.1522 14.4496 Å, 60.98 90.00 90.00°
Last column: nearest neighbours and their distance in Å.
Element x y z (fractional)
Na (0.5350, 0.0648, 0.2103)  4 S 2.77-2.98, 1 Ga 3.06
Na (0.0005, 0.6914, 0.6028)  4 S 2.85-2.91
Na (0.9986, 0.7271, 0.1107)  4 S 2.75-2.96
Na (0.5005, 0.3086, 0.8972)  4 S 2.85-2.91
Na (0.0350, 0.9352, 0.2897)  4 S 2.77-2.98, 1 Ga 3.06
Na (0.4986, 0.2729, 0.3893)  4 S 2.75-2.96
Na (0.9995, 0.3086, 0.3972)  4 S 2.85-2.91
Na (0.5014, 0.7271, 0.6107)  4 S 2.75-2.96
Na (0.4650, 0.9352, 0.7897)  4 S 2.77-2.98, 1 Ga 3.06
O (0.6625, 0.6429, 0.9412)  1 Si 1.61
O (0.9978, 0.9978, 0.9978)  3 O 1.33
O (0.8729, 0.0500, 0.0556)  1 O 1.33
O (0.6410, 0.0654, 0.3553)  1 Si 1.63
O (0.8724, 0.1478, 0.5736)  1 Si 1.63
O (0.5736, 0.8724, 0.1478)  1 Si 1.63
O (0.0654, 0.3553, 0.6410)  1 Si 1.63
O (0.1625, 0.4412, 0.1429)  1 Si 1.61
O (0.8725, 0.8481, 0.4284)  1 Si 1.63
O (0.8553, 0.5654, 0.1410)  1 Si 1.63
Na (0.1842, 0.8171, 0.8115)  5 O 2.28-2.54
Na (0.8115, 0.1842, 0.8171)  5 O 2.28-2.54
Na (0.3115, 0.3171, 0.6842)  5 O 2.28-2.54
Na (0.8171, 0.8115, 0.1842)  5 O 2.28-2.54
Na (0.6842, 0.3115, 0.3171)  5 O 2.28-2.54
Na (0.3171, 0.6842, 0.3115)  5 O 2.28-2.54
Ga (0.4929, 0.2556, 0.0062)  4 O 1.81-1.84
Ga (0.0062, 0.4929, 0.2556)  4 O 1.81-1.84
Ga (0.2556, 0.0062, 0.4929)  4 O 1.81-1.84
Ga (0.9929, 0.5062, 0.7556)  4 O 1.81-1.84
Ga (0.5062, 0.7556, 0.9929)  4 O 1.81-1.84
Ga (0.7556, 0.9929, 0.5062)  4 O 1.81-1.84
Si (0.0050, 0.7515, 0.5027)  4 O 1.61-1.63
Si (0.7515, 0.5027, 0.0050)  4 O 1.61-1.63
Si (0.5027, 0.0050, 0.7515)  4 O 1.61-1.63
Si (0.0028, 0.2515, 0.5050)  4 O 1.61-1.63
Si (0.2515, 0.5050, 0.0028)  4 O 1.61-1.63
Si (0.5050, 0.0028, 0.2515)  4 O 1.61-1.63


Record 3
Na3GaS3: relaxed, meta-GGA r2SCAN.

Results
ΔH_f (0 K) (meV/atom): -1222
Calculated volume (Å³ per cell): 623.0
DFT total energy (eV per atom): -7.828

Cell: 6.8943 7.1522 14.4496 Å, 60.98 90.00 90.00°
Last column: nearest neighbours and their distance in Å.
Element x y z (fractional)
Na (0.5350, 0.0648, 0.2103)  4 S 2.77-2.98, 1 Ga 3.06
Na (0.0005, 0.6914, 0.6028)  4 S 2.85-2.91
Na (0.9986, 0.7271, 0.1107)  4 S 2.75-2.96
Na (0.5005, 0.3086, 0.8972)  4 S 2.85-2.91
Na (0.0350, 0.9352, 0.2897)  4 S 2.77-2.98, 1 Ga 3.06
Na (0.4986, 0.2729, 0.3893)  4 S 2.75-2.96
Na (0.9995, 0.3086, 0.3972)  4 S 2.85-2.91
Na (0.5014, 0.7271, 0.6107)  4 S 2.75-2.96
Na (0.4650, 0.9352, 0.7897)  4 S 2.77-2.98, 1 Ga 3.06